Job:
It remains to reproduce the whole of the notes underneath character by character.

Given:
____________
The following is a computed powder diffraction line list of RbBiAs6H24C8S12N2. It was derived from a cell relaxed with PBE, using Cu Kα (weighted mean of Kα1 and Kα2).
Lines closer than 0.1° are merged.

Most intense lines, 2θ = 10–90°, by angle:
two_theta	Rel. int.
11.84	47
17.58	27
18.44	51
23.83	19
25.60	37
27.17	25
29.75	100
36.91	19
41.87	20
47.69	23

Crystal structure
Lattice parameters (Å, degrees): 11.240 11.240 11.240 53.35 53.35 53.35
Fractional positions:
Rb  0.000  0.000  0.000
Bi  0.500  0.500  0.500
As  0.080  0.699  0.803
As  0.197  0.920  0.301
As  0.301  0.197  0.920
As  0.699  0.803  0.080
As  0.803  0.080  0.699
As  0.920  0.301  0.197
H  0.078  0.365  0.486
H  0.128  0.329  0.270
H  0.166  0.550  0.215
H  0.215  0.166  0.550
H  0.241  0.329  0.515
H  0.270  0.128  0.329
H  0.329  0.270  0.128
H  0.329  0.515  0.241
H  0.365  0.486  0.078
H  0.450  0.785  0.834
H  0.485  0.759  0.671
H  0.486  0.078  0.365
H  0.514  0.922  0.635
H  0.515  0.241  0.329
H  0.550  0.215  0.166
H  0.635  0.514  0.922
H  0.671  0.485  0.759
H  0.671  0.730  0.872
H  0.730  0.872  0.671
H  0.759  0.671  0.485
H  0.785  0.834  0.450
H  0.834  0.450  0.785
H  0.872  0.671  0.730
H  0.922  0.635  0.514
C  0.203  0.292  0.477
C  0.254  0.254  0.254
C  0.292  0.477  0.203
C  0.477  0.203  0.292
C  0.523  0.797  0.708
C  0.708  0.523  0.797
C  0.746  0.746  0.746
C  0.797  0.708  0.523
S  0.039  0.327  0.930
S  0.070  0.961  0.673
S  0.213  0.669  0.439
S  0.327  0.930  0.039
S  0.331  0.561  0.787
S  0.439  0.213  0.669
S  0.561  0.787  0.331
S  0.669  0.439  0.213
S  0.673  0.070  0.961
S  0.787  0.331  0.561
S  0.930  0.039  0.327
S  0.961  0.673  0.070
N  0.306  0.306  0.306
N  0.694  0.694  0.694
____________

Outcome:
The following is a computed powder diffraction line list of RbBiAs6H24C8S12N2. It was derived from a cell relaxed with PBE, using Cu Kα (weighted mean of Kα1 and Kα2).
Lines closer than 0.1° are merged.

Most intense lines, 2θ = 10–90°, by angle:
two_theta	Rel. int.
11.84	47
17.58	27
18.44	51
23.83	19
25.60	37
27.17	25
29.75	100
36.91	19
41.87	20
47.69	23

Crystal structure
Lattice parameters (Å, degrees): 11.240 11.240 11.240 53.35 53.35 53.35
Fractional positions:
Rb  0.000  0.000  0.000
Bi  0.500  0.500  0.500
As  0.080  0.699  0.803
As  0.197  0.920  0.301
As  0.301  0.197  0.920
As  0.699  0.803  0.080
As  0.803  0.080  0.699
As  0.920  0.301  0.197
H  0.078  0.365  0.486
H  0.128  0.329  0.270
H  0.166  0.550  0.215
H  0.215  0.166  0.550
H  0.241  0.329  0.515
H  0.270  0.128  0.329
H  0.329  0.270  0.128
H  0.329  0.515  0.241
H  0.365  0.486  0.078
H  0.450  0.785  0.834
H  0.485  0.759  0.671
H  0.486  0.078  0.365
H  0.514  0.922  0.635
H  0.515  0.241  0.329
H  0.550  0.215  0.166
H  0.635  0.514  0.922
H  0.671  0.485  0.759
H  0.671  0.730  0.872
H  0.730  0.872  0.671
H  0.759  0.671  0.485
H  0.785  0.834  0.450
H  0.834  0.450  0.785
H  0.872  0.671  0.730
H  0.922  0.635  0.514
C  0.203  0.292  0.477
C  0.254  0.254  0.254
C  0.292  0.477  0.203
C  0.477  0.203  0.292
C  0.523  0.797  0.708
C  0.708  0.523  0.797
C  0.746  0.746  0.746
C  0.797  0.708  0.523
S  0.039  0.327  0.930
S  0.070  0.961  0.673
S  0.213  0.669  0.439
S  0.327  0.930  0.039
S  0.331  0.561  0.787
S  0.439  0.213  0.669
S  0.561  0.787  0.331
S  0.669  0.439  0.213
S  0.673  0.070  0.961
S  0.787  0.331  0.561
S  0.930  0.039  0.327
S  0.961  0.673  0.070
N  0.306  0.306  0.306
N  0.694  0.694  0.694